Background check invitations
Checkr cannot cancel in-progress reports on your behalf. However, if a report is still in progress, you can select "Complete Now" in the Actions section of your Checkr dashboard. This option allows you to immediately finalize the report, stopping any pending or paused checks and marking them as "canceled" with a reason provided.
If any screenings within the report have already been completed, their results will be shown as either Clear or Consider. The "Complete Now" feature is a way to expedite the processing of reports, but keep in mind that you will still incur charges since the report has already been processed. Additionally, any canceled screenings will not appear in the PDF version of the report, although the reasons for the cancellation will be documented in the Checkr dashboard and through the Checkr APIs.
For searches within the United States, select the city and state where the person will work. If a person will have multiple work locations, use the location with the strictest reporting requirements.
For searches outside the United States, select the country where the person will work.
You can't edit the email invitation Checkr sends to your candidates to start their background checks:
You also can't edit the consent forms for drug tests.
Checkr can help you edit only the emails below:
- Welcome message
[Misplaced materials data]
=====
(1)
VASP calculation (r²SCAN) on a relaxed HoCo2 crystal.

Properties
* space group: Fd-3m (227)
* M_tot: 2.0 μB per formula unit
* E_form: -0.153 eV per atom
* theoretical density: 10.410 g/cm³
* crystal system: cubic

a = 5.034 Å, b = 5.034 Å, c = 5.034 Å
α = 60.00°, β = 60.00°, γ = 60.00°
Atoms (fractional coordinates):
Ho: 0.125 0.125 0.125
Ho: 0.875 0.875 0.875
Co: 0.000 0.500 0.500
Co: 0.500 0.000 0.500
Co: 0.500 0.500 0.000
Co: 0.500 0.500 0.500

---

(2)
VASP calculation (r²SCAN) on a relaxed YbEuAg2 crystal.

Properties
* space group: Fm-3m (225)
* M_tot: 7.1 μB per formula unit
* E_form: -0.260 eV per atom
* theoretical density: 9.202 g/cm³
* crystal system: cubic

a = 5.168 Å, b = 5.168 Å, c = 5.168 Å
α = 60.00°, β = 60.00°, γ = 60.00°
Atoms (fractional coordinates):
Yb: 0.000 0.000 0.000
Eu: 0.500 0.500 0.500
Ag: 0.250 0.250 0.250
Ag: 0.750 0.750 0.750

---

(3)
VASP calculation (r²SCAN) on a relaxed Lu2BeOs crystal.

Properties
* space group: Fm-3m (225)
* M_tot: 0.0 μB per formula unit
* E_form: -0.271 eV per atom
* theoretical density: 12.462 g/cm³
* crystal system: cubic

a = 4.695 Å, b = 4.695 Å, c = 4.695 Å
α = 60.00°, β = 60.00°, γ = 60.00°
Atoms (fractional coordinates):
Lu: 0.250 0.250 0.250
Lu: 0.750 0.750 0.750
Be: 0.000 0.000 0.000
Os: 0.500 0.500 0.500

----------

Below is Ba5Al2Ge7 after structural relaxation, with properties calculated at the r2SCAN level.

Values from the calculation:
**Raw total energy**: -17.946 eV per atom
**Spin magnetization**: 0.0 μB per formula unit
**Calculated formation energy**: -8.2 eV/f.u.
**Symmetry**: C2/m (12)

Cell: 6.7966 6.7966 18.6096 Å, 98.62 98.62 100.16°
Fractional positions:
Ba  0.0696  0.6245  0.7106
Ba  0.2095  0.7905  0.0000
Ba  0.2513  0.7487  0.5000
Ba  0.2605  0.2605  0.8561
Ba  0.3755  0.9304  0.2894
Ba  0.6245  0.0696  0.7106
Ba  0.7395  0.7395  0.1439
Ba  0.7487  0.2513  0.5000
Ba  0.7905  0.2095  0.0000
Ba  0.9304  0.3755  0.2894
Al  0.2756  0.2756  0.5716
Al  0.4230  0.4230  0.2331
Al  0.5770  0.5770  0.7669
Al  0.7244  0.7244  0.4284
Ge  0.0849  0.0849  0.6519
Ge  0.1413  0.1413  0.1442
Ge  0.1668  0.5371  0.1424
Ge  0.2051  0.2051  0.4337
Ge  0.3193  0.3193  0.0476
Ge  0.4405  0.4405  0.3677
Ge  0.4629  0.8332  0.8576
Ge  0.5371  0.1668  0.1424
Ge  0.5595  0.5595  0.6323
Ge  0.6807  0.6807  0.9524
Ge  0.7949  0.7949  0.5663
Ge  0.8332  0.4629  0.8576
Ge  0.8587  0.8587  0.8558
Ge  0.9151  0.9151  0.3481

Below is SmFe2Si2 after structural relaxation, with properties calculated at the r2SCAN level.

Values from the calculation:
**Raw total energy**: -15.690 eV per atom
**Spin magnetization**: 0.0 μB per formula unit
**Calculated formation energy**: -2.3 eV/f.u.
**Symmetry**: I4/mmm (139)

Cell: 5.5509 5.5509 5.5509 Å, 137.91 137.91 61.04°
Fractional positions:
Sm  0.0000  0.0000  0.0000
Fe  0.2500  0.7500  0.5000
Fe  0.7500  0.2500  0.5000
Si  0.3595  0.3595  0.0000
Si  0.6405  0.6405  0.0000

Which formula does entry 2 have?
SmFe2Si2

----------

No. 1
=====
- Disclosure form
- Authorization form
- Adverse action email
Working with Checkr to edit an email involves the process below:
- Contact Checkr, and specify who will sign the authorization addendum to your customer agreement:
- First name
- Last name
- Email address
- Job title
- Checkr sends you the addendum and a form for outlining your changes.
- Return the completed addendum and change form to Checkr.
- Checkr's compliance team reviews the changes and then contacts you. Checkr doesn't provide legal advice. Consult your legal counsel about compliance.
Checkr relies on county courthouses and their clerks to receive the information we need to complete our background checks as accurately as possible. After we request the information, Checkr has no control over how quickly we receive it. Checkr can't expedite the background check process.
To complete a background check, Checkr must access or request information from courts, institutions, and other organizations. We often receive information quickly, such as when it's readily available online. Some information requires manual searches or cooperation from organizations, which can extend the report's turnaround time. Delays might result from the reasons below:
- The court has no electronic records or is closed.
- The background check includes a county search, which requires a court clerk to help complete the search.
Background check process
The industry average turnaround time for most background checks is between 3-5 business days.
Some searches, such as national searches or sex offender registry searches, complete in minutes.
Below are approximate timelines for how long common background check searches take. Delays can make checks take longer.
Search type |
Average turnaround time |
Employment background check |
>1 hour to 1-5 days |
Criminal background check |
1-3 days |
Employment verification
1-3 minutes (quick verification) to 2-7 days (manual entry) |
Reference verification |
2-5 days |
Driving record (MVR) search |
>1 hour to 1-3 business days |
Drug test |
10 minutes (onsite) to 3-10 days (lab-based) |
If Checkr can't verify candidate-provided information, we email the candidate a secure link to the Candidate Portal.
If your candidate can't find the email, use the steps below:
- Log in to the Checkr Dashboard.
- Open the candidate's report.
- In the Exceptions section, copy the verification link and share it with the candidate. Checkr reviews candidate-provided documents and updates the report within 24 hours of the upload.
Checkr doesn't accept emailed candidate documents. Candidates can log in to the Candidate Portal at any time to provide documents.
As part of the organization ordering background checks, you determines how far back to search for records during a candidate's background check. You can request that Checkr use a lookback period of seven years, 10 years, or further back. To determine or change the lookback periods for a search, contact Checkr.
Seven years begins at the "context date," which can vary based on what information courts and other sources of records include.
Most states allow the reporting of convictions indefinitely. A report can include convictions no matter how old.
The states below generally limit the reporting of convictions to only the last seven years:
- California
- Kansas
- Maryland
- Massachusetts
~~~
VASP calculation (PBE with a Hubbard U) on Sr2CoO4 after structural relaxation.

Size of the total moment   0.00 μB/cell
Offset from the most stable computed form   4 meV per atom
Total energy   -6.048 eV per atom

abc: 5.518 6.798 10.346
angles: 102.86 90.06 90.00
Space group P1 (No. 1)
Inequivalent atoms, fractional coordinates:
Sr 0.000 0.000 0.000 (multiplicity 1)
Sr 0.001 0.422 0.860 (multiplicity 1)
Sr 0.005 0.929 0.363 (multiplicity 1)
Sr 0.007 0.502 0.506 (multiplicity 1)
Sr 0.499 0.678 0.115 (multiplicity 1)
Sr 0.500 0.256 0.256 (multiplicity 1)
Sr 0.506 0.749 0.752 (multiplicity 1)
Sr 0.508 0.175 0.609 (multiplicity 1)
Co 0.005 0.462 0.181 (multiplicity 1)
Co 0.005 0.965 0.684 (multiplicity 1)
Co 0.504 0.713 0.431 (multiplicity 1)
Co 0.505 0.215 0.934 (multiplicity 1)
O 0.005 0.723 0.764 (multiplicity 1)
O 0.006 0.202 0.602 (multiplicity 1)
O 0.240 0.077 0.796 (multiplicity 1)
O 0.240 0.587 0.302 (multiplicity 1)
O 0.252 0.334 0.053 (multiplicity 1)
O 0.279 0.831 0.550 (multiplicity 1)
O 0.495 0.984 0.010 (multiplicity 1)
O 0.496 0.444 0.858 (multiplicity 1)
O 0.503 0.955 0.352 (multiplicity 1)
O 0.505 0.476 0.514 (multiplicity 1)
O 0.737 0.601 0.318 (multiplicity 1)
O 0.742 0.092 0.813 (multiplicity 1)
O 0.752 0.344 0.063 (multiplicity 1)
O 0.780 0.847 0.566 (multiplicity 1)
O 0.995 0.234 0.257 (multiplicity 1)
O 0.995 0.695 0.106 (multiplicity 1)
~~~
- Montana
- New Hampshire
- New Mexico
- New York
- Washington
In some of the above states, reports for certain companies include convictions older than seven years because of rules that affect reports for regulated industries.
Most states limit the reporting of non-convictions to only the last seven years.
A non-conviction could include the case statuses and outcomes below:
- Alternative adjudication
- Deferred adjudication
- Dismissed cases
- Not-guilty verdicts
- Formal abandonment of prosecution
The states below prohibit the reporting of non-convictions:
- California
- Kentucky
- New Mexico
- New York
Additional state-specific guidelines
- Marijuana misdemeanors: Non-felony (misdemeanor) convictions for marijuana possession in California can only be reported for two years from the disposition date.
- Transportation network or rideshare companies: In California, background checks for transportation network and rideshare companies can report convictions older than seven years.
Background checks for transportation network and rideshare companies in Maryland search the person's "entire adult history," including convictions older than seven years.
In Kentucky, pending criminal cases aren't reportable. Background checks in Kentucky don't include pending cases.
Social Security numbers and United States candidates
Checkr requires a Social Security number (SSN) to complete the tasks below:
- Complete a criminal search.
- Find aliases.
- Find previous residences or work locations.
If a court file includes the SSN, it can help confirm that the record belongs to the right person.
No Social Security number
Checkr can complete the searches below for people who have no Social Security number:
- Motor vehicle record (MVR) search
- Education verification
Checkr can't complete criminal searches for people who have no Social Security number. Checkr can't accept an Individual Taxpayer Identification Number (ITIN) instead.
Non-US screenings
Background checks outside the US require a Social Security number only if the candidate has previous US employment history. In this case, Checkr might ask the candidate to provide an SSN for employment verification.
No physical Social Security card
Candidates who need a physical Social Security card must contact their local Social Security Administration (SSA) office and request an item below:
== What comes next are data records, not part of the page ==
-- begin --
[1]
# NdSmMg2

A geometry-optimized NdSmMg2 structure (r2SCAN, the Materials Project).

## Properties
Crystal system: cubic
Space group: Fm-3m
E in eV per atom: -16.983

Cell: 5.4686 5.4686 5.4686 Å, 60.00 60.00 60.00°
With the nearest neighbours (Å) after each atom.
Element x y z (fractional)
Nd 0.5000 0.5000 0.5000  8 Mg 3.35
Sm 0.0000 0.0000 0.0000  8 Mg 3.35
Mg 0.7500 0.7500 0.7500  4 Nd 3.35, 4 Sm 3.35
Mg 0.2500 0.2500 0.2500  4 Nd 3.35, 4 Sm 3.35


[2]
# Cs3HgBr5

A geometry-optimized Cs3HgBr5 structure (r2SCAN, the Materials Project).

## Properties
Crystal system: orthorhombic
Space group: Pnma
E in eV per atom: -22.789

Cell: 9.3863 11.3126 14.2089 Å, 90.00 90.00 90.00°
With the nearest neighbours (Å) after each atom.
Element x y z (fractional)
Cs 0.9192 0.2500 0.0496  8 Br 3.52-3.81
Cs 0.4192 0.2500 0.4504  8 Br 3.52-3.81
Cs 0.0808 0.7500 0.9504  8 Br 3.52-3.81
Cs 0.5808 0.7500 0.5496  8 Br 3.52-3.81
Cs 0.9173 0.0193 0.3320  7 Br 3.63-4.01
Cs 0.4173 0.4807 0.1680  7 Br 3.63-4.01
Cs 0.0827 0.5193 0.6680  7 Br 3.63-4.01
Cs 0.5827 0.9807 0.8320  7 Br 3.63-4.01
Cs 0.0827 0.9807 0.6680  7 Br 3.63-4.01
Cs 0.5827 0.5193 0.8320  7 Br 3.63-4.01
Cs 0.9173 0.4807 0.3320  7 Br 3.63-4.01
Cs 0.4173 0.0193 0.1680  7 Br 3.63-4.01
Hg 0.8023 0.2500 0.6132  4 Br 2.62-2.69
Hg 0.3023 0.2500 0.8868  4 Br 2.62-2.69
Hg 0.1977 0.7500 0.3868  4 Br 2.62-2.69
Hg 0.6977 0.7500 0.1132  4 Br 2.62-2.69
Br 0.6712 0.2500 0.2617  6 Cs 3.57-3.81
Br 0.1712 0.2500 0.2383  6 Cs 3.57-3.81
Br 0.3288 0.7500 0.7383  6 Cs 3.57-3.81
Br 0.8288 0.7500 0.7617  6 Cs 3.57-3.81
Br 0.6868 0.0482 0.5650  1 Hg 2.62
Br 0.1868 0.4518 0.9350  1 Hg 2.62
Br 0.3132 0.5482 0.4350  1 Hg 2.62
Br 0.8132 0.9518 0.0650  1 Hg 2.62
Br 0.3132 0.9518 0.4350  1 Hg 2.62
Br 0.8132 0.5482 0.0650  1 Hg 2.62
Br 0.6868 0.4518 0.5650  1 Hg 2.62
Br 0.1868 0.0482 0.9350  1 Hg 2.62
Br 0.5417 0.2500 0.9910  1 Hg 2.69
Br 0.0417 0.2500 0.5090  1 Hg 2.69
Br 0.4583 0.7500 0.0090  1 Hg 2.69
Br 0.9583 0.7500 0.4910  1 Hg 2.69
Br 0.8766 0.2500 0.7916  1 Hg 2.63
Br 0.3766 0.2500 0.7084  1 Hg 2.63
Br 0.1234 0.7500 0.2084  1 Hg 2.63
Br 0.6234 0.7500 0.2916  1 Hg 2.63
-- stop --
- A new copy of the card
- An SS-5 - Numident record to use instead of the card
The "SSN already taken" error means that you already have a candidate with that Social Security number (SSN).
If you need to submit a second candidate with the same SSN, contact Checkr.